Friday, September 22, 2006

Aliya and Yerida

I am suspicious, perhaps foolishly, of the official Israeli reports of the number of American Jews who have made aliya, not because I think that we are being deceived but because I sense that there are those who do not go through official channels when they settle in Israel and therefore are not counted. It was announced during the summer that fewer than 500 olim had come to Israel from North American in the first half of 2006. This seems fewer than the number that Nefesh B'efesh, the organization that receives enormous financial support from Evangelical Christians, claims to have brought to Israel via its well-publicized flights. How could the figure be so low?

== The page is interrupted by data records ==
+++
This record from OMol25 describes C4H4O in the gas phase. The level of theory is ωB97M-V with the def2-TZVPD basis set.

```
9
Properties=species:S:1:pos:R:3:lowdin_charge:R:1
C -1.188 0.437 0.587 0.061
C -0.299 -0.184 -0.196 -0.445
O -0.606 -1.085 -1.170 0.045
C 1.119 0.029 -0.070 -0.073
C 2.304 0.201 0.065 0.139
H -1.570 -1.140 -1.228 0.109
H -0.865 1.168 1.317 0.068
H -2.251 0.222 0.517 0.064
H 3.355 0.352 0.179 0.032
```

Its gap between HOMO and LUMO is 9.9 eV. As for the highest occupied orbital energy: -0.33129 Eh. For the energy above the lowest of the compared OMol25 structures with the same formula, charge and spin, the calculation gives 41.5 kcal per mole. The value obtained for the total energy is -6257.578 eV.

~~~~~

A:
The molecule C5H12N2, computed with ωB97M-V/def2-TZVPD.

Each line ends with the Mulliken charge.
Positions of all 19 atoms, in Å:
C1 2.153 0.586 0.688  -1.08
C2 0.972 0.937 0.164  0.68
N1 0.315 2.113 0.618  -0.52
C3 0.146 0.141 -0.829  -0.93
C4 -1.017 -0.613 -0.195  0.33
C5 -0.566 -1.670 0.815  -1.44
N2 -1.753 -1.246 -1.308  -0.55
H1 2.675 1.349 1.255  0.26
H2 2.572 -0.408 0.710  0.27
H3 0.874 2.597 1.325  0.26
H4 0.185 2.794 -0.127  0.24
H5 -0.127 0.807 -1.648  0.36
H6 0.840 -0.584 -1.264  0.29
H7 -1.719 0.053 0.298  0.38
H8 0.310 -2.251 0.514  0.27
H9 -1.416 -2.328 0.977  0.42
H10 -0.214 -1.210 1.746  0.36
H11 -1.260 -2.005 -1.739  0.19
H12 -2.741 -1.294 -1.177  0.21

Computed properties:
Gap between HOMO and LUMO, eV: 9.58
HOMO energy, Eh: -0.3110
SMILES string: C=C(N)C[C@H](C)N

=====

B:
A cluster of 2 separate species, C5H12N2 in total, computed with ωB97M-V/def2-TZVPD.

Each line ends with the Mulliken charge.
Positions of all 19 atoms, in Å:
C1 -1.315 0.746 -0.782  -0.08
C2 -1.404 0.651 0.717  -0.68
C3 0.016 0.505 1.339  -0.36
N1 1.728 -2.510 -0.329  -0.69
C4 0.919 -1.456 -0.214  -0.04
C5 1.042 -0.355 0.647  -0.10
N2 -0.653 2.014 -1.195  -0.62
H1 -0.686 -0.126 -1.207  -0.86
H2 -2.320 0.819 -1.353  0.36
H3 -1.955 1.458 1.219  0.31
H4 -1.955 -0.300 0.884  0.33
H5 -0.005 0.114 2.436  0.30
H6 0.489 1.538 1.392  0.26
H7 2.702 -2.282 0.114  0.20
H8 -0.596 -0.780 -2.007  0.58
H9 -0.226 -1.773 -0.473  0.35
H10 2.137 -0.272 1.049  0.16
H11 0.278 1.838 -1.215  0.31
H12 -0.929 2.697 -0.411  0.26

Computed properties:
Gap between HOMO and LUMO, eV: 4.28
HOMO energy, Eh: -0.2483

=====

C:
The molecule C5H12N2, computed with ωB97M-V/def2-TZVPD.

Each line ends with the Mulliken charge.
Positions of all 19 atoms, in Å:
H1 -3.076 -1.417 0.449  0.27
N1 -2.127 -1.182 0.771  -0.60
N2 -1.643 -0.455 -0.075  -0.02
C1 -0.132 0.288 0.331  1.07
C2 0.747 -0.709 1.046  -1.48
C3 -0.432 1.571 1.124  -1.44
C4 0.536 0.599 -0.971  -0.62
C5 0.723 -0.731 -1.755  -1.21
H2 1.743 -0.281 1.154  0.38
H3 0.936 -1.533 0.426  0.43
H4 0.476 -1.019 2.027  0.41
H5 0.556 2.046 1.307  0.32
H6 -1.200 2.170 0.458  0.33
H7 -0.951 1.488 2.081  0.39
H8 1.376 1.172 -0.807  0.52
H9 -0.100 1.337 -1.623  0.29
H10 0.193 -1.564 -1.405  0.42
+++

Even if it is the case that there are American Jews - for instance, some charedim - who have made aliya without formally making aliya, the total is astoundingly low and this is without taking into account those who return within several years or sooner because they could not make a go of it in Israel or for some other reason.

Aliya statistics are pitiful when compared with the population movement in the other direction, meaning the Israelis who are yordim, as they have left Israel. There are many tens of thousands of yordim in the United States alone. Statistics do not tell the entire story, not even the entire quantitative side and certainly not the qualitative aspects. The migration of Israelis to these shores has propped up our population statistics, offsetting to an extent the massive losses resulting from Judaic abandonment. When we reckon, as we should, the offspring of ex-Israelis who now live here, as a consequence of yerida there are probably hundreds of thousands of Jews in the United States whose roots at some point were in Israel.

Aliya, on the other hand, has had a minimal impact on American Jewish numbers. Tens of thousands in a population of five or six million is not significant. However, overwhelmingly aliya is an Orthodox phenomenon and according to demographers the Orthodox come to no more than 10% of American Jews. Therefore, the impact on this sector has been significant. When Orthodox aliya is considered in generational terms encompassing the offspring of those who made aliya - and in many families, their offspring as well - American Orthodoxy has experienced meaningful population loss because of aliya.

That's the quantitative side. Qualitatively, how has aliya and yerida affected religious, intellectual and cultural Jewish life in Israel and the United States? It is difficult to assess the qualitative impact of yerida on either Israel or this country because there is scant evidence that Israel has lost much or that the U.S. has benefited. In the aggregate, the ex-Israelis and their families have not been sufficiently integrated into American Jewish communal life. It seems at times that there is a tacit understanding that neither they nor we - the important exception is Chabad - are much interested in the yordim being actively involved in Jewish affairs. They remain deeply committed to Israel where they have family, but they add little to Jewish life here, with the important exception of their numbers.

Aliya, although low in numbers, has resulted in qualitative gains and losses. Among those who have left, many were among the best and brightest that American Jewry has produced. Invariably, these are young men and women of true spirituality, deepfelt Judaic commitment and decency who possess skills that are valuable to the Jewish people. These qualities have been transferred to the Jewish State because those who made aliya could not see a future for themselves and their families that did not include living in the land that is our heritage. They have contributed enormously to Israel, blessing the land and people that they are committed to in multiple ways. When I am in Israel, I see them everywhere and marvel at their goodness and their endless reservoir of love for the Torah, for the land and for the people.

Israel's enormous gain from American aliya is American Jewry's great loss. When we read about a shortage of rabbis for our synagogues and principals for our day schools and when we bemoan the intellectual aridness of American Jewish life and the paucity of elevated leadership, we are being confronted with the aftershocks of the spiritual drain and brain drain resulting from aliya. Of course, there are other contributory factors arising from weaknesses in the fabric of American Jewish life, yet the deficit resulting from the departure of so many people of talent and deepfelt commitment is real.

'''
{
  "formula": "C48H69N3O4P3S2Ti",
  "method": "wB97M-V/def2-TZVPD",
  "relative_energy_ev": 0.837,
  "e_lumo_ev": -2.9,
  "multiplicity": 1,
  "homo_lumo_gap_ev": 6.74,
  "total_charge": 1,
  "elements": ["Ti", "C", "C", "N", "N", "C", "S", "S", "C", "C", "C", "C", "C", "C", "C", "C", "C", "C", "C", "C", "C", "O", "H", "H", "H", "H", "H", "H", "H", "H", "H", "H", "H", "H", "H", "H", "C", "C", "C", "P", "C", "C", "C", "C", "C", "C", "C", "C", "C", "C", "N", "C", "C", "C", "C", "C", "C", "C", "P", "C", "C", "C", "C", "C", "C", "H", "H", "H", "H", "H", "H", "H", "H", "H", "H", "H", "H", "H", "H", "H", "H", "H", "H", "H", "H", "H", "H", "H", "H", "H", "H", "H", "H", "H", "H", "H", "H", "H", "H", "H", "H", "H", "H", "H", "H", "C", "C", "O", "P", "O", "C", "C", "O", "C", "C", "H", "H", "H", "H", "H", "H", "H", "H", "H", "H", "H", "H", "H", "H", "H"],
'''

This deficit is most pronounced among the Orthodox, notably in the modern and centrist sectors where aliya is most strongly felt as a transcendent religious obligation. The moderns and centrists have by and large maintained their numbers on these shores despite aliya. What they haven't maintained is spiritual elegance, for they are entrapped in a value system that emphasizes pursuit of material things and pleasures. We need only contrast the lifestyle of family members who have made aliya with their close relatives who have remained here.

Nor have the charedi sectors been immune from the same influences. It is telling that in American charedi life in the first years of this millennium, there isn't a towering religious figure. For decades, chassidic and yeshiva-world Jews were inspired by Torah leaders who were born and educated in pre-Holocaust Europe. They are gone, replaced by people of far lesser stature. For leadership, most charedim now look to Israel and this is true of the modern and centrist sectors of Orthodoxy.

There are individuals of true merit and religious and spiritual grandeur in our community. What American religious Jewry lacks is the quality of leadership that has been crucial in our religious life in every place of significant Jewish settlement. We can be thankful, at least, that Orthodox Jews in this country have contributed their best and brightest to Israel.